Entries =
- - -
A molecular structure, C28H22Cl4N3O2PbS3, computed with ωB97M-V/def2-TZVPD.

Charge = -1
HOMO-LUMO gap = 5.98 eV
HOMO energy = -4.46 eV

Element x y z (Å)
Pb: -0.567 -0.690 -0.492
Cl: 4.089 3.625 -3.716
C: 3.400 2.311 -2.817
C: 4.214 1.348 -2.242
Cl: 5.939 1.443 -2.408
C: 3.631 0.286 -1.527
Cl: 4.619 -0.961 -0.824
C: 2.251 0.168 -1.367
O: 1.692 -0.837 -0.736
C: 1.410 1.172 -1.949
O: 0.112 1.041 -1.830
C: 2.005 2.206 -2.669
Cl: 0.937 3.359 -3.417
N: -1.599 4.152 9.129
C: -1.495 3.636 8.105
C: -1.368 2.987 6.817
C: -2.500 2.480 6.182
C: -2.378 1.863 4.948
C: -1.132 1.737 4.338
C: -0.006 2.242 4.982
C: -0.119 2.870 6.211
C: -1.000 1.061 3.011
C: -1.557 1.728 1.918
C: -2.181 3.013 1.938
C: -2.544 3.302 0.645
C: -2.125 2.192 -0.134
N: -1.552 1.256 0.607
C: -0.312 -0.157 3.016
C: 0.186 -0.838 4.167
C: 0.775 -1.999 3.721
C: 0.616 -1.995 2.312
N: -0.036 -0.922 1.891
H: -3.467 2.573 6.659
H: -3.253 1.466 4.446
H: 0.962 2.144 4.504
H: 0.756 3.269 6.707
H: -2.310 3.643 2.807
H: -3.023 4.199 0.273
H: -2.190 2.074 -1.212
H: 0.105 -0.501 5.190
H: 1.267 -2.763 4.307
H: 0.972 -2.736 1.601
C: 1.974 -3.184 -3.800
C: 1.086 -4.343 -3.344
S: -0.215 -3.874 -2.163
C: -1.745 -4.098 -3.109
C: -1.953 -3.157 -4.290
S: -2.144 -1.425 -3.777
C: -0.897 -0.551 -4.770
C: 0.570 -0.788 -4.420
S: 1.345 -2.235 -5.213
H: 2.939 -3.577 -4.127
H: 2.165 -2.493 -2.973
H: 1.703 -5.080 -2.826
H: 0.616 -4.842 -4.193
H: -2.535 -3.958 -2.366
H: -1.794 -5.135 -3.445
H: -2.855 -3.454 -4.831
H: -1.110 -3.206 -4.974
H: -1.122 0.496 -4.563
H: -1.091 -0.733 -5.827
H: 0.692 -0.894 -3.350
H: 1.149 0.082 -4.732

~~~~~

81
Properties=species:S:1:pos:R:3 method="wB97M-V/def2-TZVPD" energy_ev=-127779.7936 s_squared=6.022 spin_multiplicity=5 e_above_lowest_kcal_mol=48.23 charge=+2
Pt 1.3262 -2.7027 -1.1867
C -1.3253 -1.8400 1.6774
C -0.9485 -2.7438 0.6958
C 0.9598 -2.0693 1.8798
C -0.1498 -1.4288 2.4052
C 0.5317 -2.9940 0.7888
C -2.7113 -1.4241 2.0090
H -3.4109 -1.7176 1.2198
H -2.7856 -0.3404 2.1459
H -3.0565 -1.8874 2.9443
C -0.2004 -0.5005 3.5692
H -1.0749 -0.7119 4.2060
H -0.2680 0.5509 3.2478
H 0.7045 -0.5940 4.1826
C 2.3504 -1.8384 2.2952
H 2.4878 -2.0307 3.3745
H 2.6190 -0.7836 2.1112
H 3.0459 -2.4697 1.7353
C 1.0548 -4.4052 0.8128
H 0.2406 -5.1340 0.7609
H 1.6594 -4.5962 1.7175
H 1.7167 -4.5561 -0.0731
C -1.7989 -3.2942 -0.3686
H -2.4375 -4.1137 -0.0061
H -1.1848 -3.6692 -1.2049
H -2.4804 -2.5199 -0.7573
C -2.1265 2.7005 0.7984
C -3.1473 1.8695 0.5353
C -3.8316 1.5656 -0.7533
C -3.0895 1.9176 -2.0787
C -2.0110 0.8816 -2.2300
C -0.8695 1.1408 -1.3643
C -0.4018 2.4303 -1.0584
C -1.1143 3.3422 -0.1447
H -4.8380 2.0223 -0.7746
H -2.6608 2.9266 -2.0288
H -4.0325 0.4783 -0.7377
H -1.5910 4.1888 -0.6880
H -2.0115 3.0469 1.8244
H -3.6462 1.4162 1.4076
H -0.3346 3.8125 0.4895
H 1.7962 1.6561 0.3366
H -0.5443 0.2891 -0.7376
H 0.5851 2.7646 -1.4000
H -3.8311 1.9585 -2.8984
H -2.4345 -0.1348 -2.2609
P -0.2861 0.4201 -3.3555
C 0.0238 2.0485 -4.1136
C -1.1976 -0.3512 -4.7022
P 1.7640 -2.0727 -3.0567
C 1.4199 -0.2431 -3.2454
C 0.8880 -2.9900 -4.3892
C 3.5272 -2.1372 -3.5690
H 0.9187 2.5165 -3.6953
H -0.8367 2.7140 -3.9856
H 0.1805 1.8930 -5.1909
H -0.9209 0.1514 -5.6371
H -2.2731 -0.2121 -4.5540
H -0.9878 -1.4130 -4.8134
H 3.6508 -1.8454 -4.6219
H 3.8997 -3.1532 -3.4159
H 4.0800 -1.4345 -2.9307
H 1.8357 0.2102 -2.3287
H 1.9966 0.1671 -4.1024
H 1.2552 -4.0262 -4.3922
H 1.0510 -2.5506 -5.3775
H -0.1840 -3.0165 -4.1673
Br -0.2979 4.5147 3.4160
C 0.9408 3.2988 4.1858
C 0.9402 3.1273 5.5733
C 1.8643 2.2590 6.1686
C 2.7709 1.5517 5.3753
C 2.7523 1.6902 3.9935
C 1.8544 2.5761 3.3859
C 1.8525 2.7340 1.9082
O 1.8870 3.7789 1.2834
O 1.8295 1.4949 1.3019
H 0.2298 3.6716 6.1842
H 1.8798 2.1521 7.2545
H 3.5066 0.8813 5.8342
- - -
Activity =
It remains to quote the part of the material further above that starts with the line with "-1.794 -5.135" and stops after the one with "-3.4159".
Response =
H: -1.794 -5.135 -3.445
H: -2.855 -3.454 -4.831
H: -1.110 -3.206 -4.974
H: -1.122 0.496 -4.563
H: -1.091 -0.733 -5.827
H: 0.692 -0.894 -3.350
H: 1.149 0.082 -4.732

~~~~~

81
Properties=species:S:1:pos:R:3 method="wB97M-V/def2-TZVPD" energy_ev=-127779.7936 s_squared=6.022 spin_multiplicity=5 e_above_lowest_kcal_mol=48.23 charge=+2
Pt 1.3262 -2.7027 -1.1867
C -1.3253 -1.8400 1.6774
C -0.9485 -2.7438 0.6958
C 0.9598 -2.0693 1.8798
C -0.1498 -1.4288 2.4052
C 0.5317 -2.9940 0.7888
C -2.7113 -1.4241 2.0090
H -3.4109 -1.7176 1.2198
H -2.7856 -0.3404 2.1459
H -3.0565 -1.8874 2.9443
C -0.2004 -0.5005 3.5692
H -1.0749 -0.7119 4.2060
H -0.2680 0.5509 3.2478
H 0.7045 -0.5940 4.1826
C 2.3504 -1.8384 2.2952
H 2.4878 -2.0307 3.3745
H 2.6190 -0.7836 2.1112
H 3.0459 -2.4697 1.7353
C 1.0548 -4.4052 0.8128
H 0.2406 -5.1340 0.7609
H 1.6594 -4.5962 1.7175
H 1.7167 -4.5561 -0.0731
C -1.7989 -3.2942 -0.3686
H -2.4375 -4.1137 -0.0061
H -1.1848 -3.6692 -1.2049
H -2.4804 -2.5199 -0.7573
C -2.1265 2.7005 0.7984
C -3.1473 1.8695 0.5353
C -3.8316 1.5656 -0.7533
C -3.0895 1.9176 -2.0787
C -2.0110 0.8816 -2.2300
C -0.8695 1.1408 -1.3643
C -0.4018 2.4303 -1.0584
C -1.1143 3.3422 -0.1447
H -4.8380 2.0223 -0.7746
H -2.6608 2.9266 -2.0288
H -4.0325 0.4783 -0.7377
H -1.5910 4.1888 -0.6880
H -2.0115 3.0469 1.8244
H -3.6462 1.4162 1.4076
H -0.3346 3.8125 0.4895
H 1.7962 1.6561 0.3366
H -0.5443 0.2891 -0.7376
H 0.5851 2.7646 -1.4000
H -3.8311 1.9585 -2.8984
H -2.4345 -0.1348 -2.2609
P -0.2861 0.4201 -3.3555
C 0.0238 2.0485 -4.1136
C -1.1976 -0.3512 -4.7022
P 1.7640 -2.0727 -3.0567
C 1.4199 -0.2431 -3.2454
C 0.8880 -2.9900 -4.3892
C 3.5272 -2.1372 -3.5690
H 0.9187 2.5165 -3.6953
H -0.8367 2.7140 -3.9856
H 0.1805 1.8930 -5.1909
H -0.9209 0.1514 -5.6371
H -2.2731 -0.2121 -4.5540
H -0.9878 -1.4130 -4.8134
H 3.6508 -1.8454 -4.6219
H 3.8997 -3.1532 -3.4159